### Brief
Set down the calculation results below from the first line to the one with "C4H11S2, DFT" verbatim, please.
### Input
-- begin --
(1)
Computed, not measured: 2 unconnected molecules or ions with the total composition C4H11PS at a distorted geometry, with the ωB97M-V functional and the def2-TZVPD basis.

As for the charge: 0. Its structure (SMILES) is CP(C)S.C=C. The spin multiplicity is 1. As for the highest occupied orbital energy: -8.6 eV.

Structure (XYZ):
```
17
C4H11PS, DFT the ωB97M-V functional and the def2-TZVPD basis
C 0.4122 0.3694 2.3586
P 0.3377 0.6093 0.4242
C -1.4598 0.1174 0.1121
S 0.2100 2.7104 0.2863
H 0.4779 1.2300 3.0568
H -0.4540 -0.2342 2.3494
H 1.2318 -0.2929 2.5633
H -1.3924 -0.6408 -0.7919
H -1.8965 -0.5388 0.8649
H -1.8902 1.0474 0.0516
H -0.4597 2.9674 1.5973
C 1.3182 -1.4928 -1.7702
C 0.2643 -1.0047 -2.4640
H 1.6539 -2.4394 -1.7430
H 1.9448 -0.7462 -1.3180
H -0.3115 -1.6738 -3.0393
H 0.0133 0.0124 -2.5380
```

=====

(2)
Computed, not measured: 2 unconnected molecules or ions with the total composition C4H11S2 at a distorted geometry, with the ωB97M-V functional and the def2-TZVPD basis.

As for the charge: -1. The spin multiplicity is 1. As for the highest occupied orbital energy: -2.5 eV.

Structure (XYZ):
```
17
C4H11S2, DFT the ωB97M-V functional and the def2-TZVPD basis
C -2.2442 -1.8006 -0.7551
S -2.1757 -2.0593 1.0134
C -1.4785 -0.3719 1.4855
H -2.7276 -2.6352 -1.2728
H -1.2082 -1.6631 -1.0994
H -2.7094 -0.8742 -1.0795
H -2.0959 0.3756 1.0193
H -1.4989 -0.4191 2.5746
H -0.4522 -0.4121 1.1336
C 2.6594 1.6543 -0.1103
C 1.5720 0.7461 -0.6493
S -0.0420 1.6013 -0.5637
H 2.4684 1.8472 0.9572
H 2.7679 2.6013 -0.6503
H 3.6638 1.1621 -0.0971
H 1.6653 -0.2557 -0.2049
H 1.8359 0.5034 -1.7013
```

=====

(3)
Computed, not measured: 2 unconnected molecules or ions with the total composition C4H12 at a distorted geometry, with the ωB97M-V functional and the def2-TZVPD basis.

As for the charge: -1. The expectation value of S² is 0.750. The spin multiplicity is 2. As for the highest occupied orbital energy (spin up / spin down): 1.5 / -7.5 eV.

Structure (XYZ):
```
16
C4H12, DFT the ωB97M-V functional and the def2-TZVPD basis
C -0.5458 0.3868 -2.3600
C 0.3410 1.4386 -1.5599
H -1.4981 0.2708 -2.1012
H -0.5758 0.8048 -3.3430
H -0.0783 -0.6766 -2.4217
H 0.0511 2.0570 -0.6912
H 1.3903 1.0844 -1.1710
H 0.7303 2.2921 -2.1990
C -0.3130 -0.9419 1.3180
C 0.3556 -1.0362 2.6896
H 0.2711 -0.8464 0.5210
H -0.7332 -1.9248 1.0968
H -1.1250 -0.1634 1.3677
H 1.2609 -0.3200 2.7066
H -0.3416 -0.4263 3.3490
H 0.8106 -1.9988 2.7982
```

=====

(4)
Computed, not measured: 2 unconnected molecules or ions with the total composition C4H12 at a distorted geometry, with the ωB97M-V functional and the def2-TZVPD basis.

As for the charge: -1. The expectation value of S² is 0.750. The spin multiplicity is 2. As for the highest occupied orbital energy (spin up / spin down): 1.6 / -7.9 eV.

Structure (XYZ):
```
16
C4H12, DFT the ωB97M-V functional and the def2-TZVPD basis
C 0.9098 -1.3270 2.3879
C 1.9445 -1.3036 1.2331
H 0.1289 -0.5779 2.1995
H 0.3204 -2.2498 2.4104
H 1.3162 -1.1099 3.3746
H 2.8971 -1.0299 1.7055
H 1.7450 -0.4291 0.6500
H 2.0556 -2.2530 0.7409
C -2.0098 1.4661 -1.3777
C -0.8161 1.1233 -2.2798
H -1.9740 2.4963 -1.0508
H -2.9726 1.2564 -1.8504
H -1.9863 0.7917 -0.5155
H -0.0435 1.8876 -2.2313
H -1.1446 1.1060 -3.3207
H -0.3706 0.1529 -2.0757
```

=====

(5)
Computed, not measured: 2 unconnected molecules or ions with the total composition C4H12, with the ωB97M-V functional and the def2-TZVPD basis.

As for the charge: -1. The expectation value of S² is 0.750. The spin multiplicity is 2. As for the highest occupied orbital energy (spin up / spin down): 1.5 / -7.9 eV.

Structure (XYZ):
```
16
C4H12, DFT the ωB97M-V functional and the def2-TZVPD basis
C 2.1169 -0.0506 0.2377
C 2.7862 0.7612 1.3629
H 1.0932 0.2980 0.0941
H 2.6380 0.0622 -0.7062
H 1.9423 -1.0975 0.4703
H 2.0157 1.2076 2.0020
H 3.4001 1.5603 0.9477
H 3.3996 0.1482 2.0350
C -2.4327 -0.3997 -1.5564
C -2.4310 -0.3069 -0.0267
H -1.4798 -0.0991 -2.0084
H -2.5896 -1.4208 -1.9130
-- stop --
### Done
(1)
Computed, not measured: 2 unconnected molecules or ions with the total composition C4H11PS at a distorted geometry, with the ωB97M-V functional and the def2-TZVPD basis.

As for the charge: 0. Its structure (SMILES) is CP(C)S.C=C. The spin multiplicity is 1. As for the highest occupied orbital energy: -8.6 eV.

Structure (XYZ):
```
17
C4H11PS, DFT the ωB97M-V functional and the def2-TZVPD basis
C 0.4122 0.3694 2.3586
P 0.3377 0.6093 0.4242
C -1.4598 0.1174 0.1121
S 0.2100 2.7104 0.2863
H 0.4779 1.2300 3.0568
H -0.4540 -0.2342 2.3494
H 1.2318 -0.2929 2.5633
H -1.3924 -0.6408 -0.7919
H -1.8965 -0.5388 0.8649
H -1.8902 1.0474 0.0516
H -0.4597 2.9674 1.5973
C 1.3182 -1.4928 -1.7702
C 0.2643 -1.0047 -2.4640
H 1.6539 -2.4394 -1.7430
H 1.9448 -0.7462 -1.3180
H -0.3115 -1.6738 -3.0393
H 0.0133 0.0124 -2.5380
```

=====

(2)
Computed, not measured: 2 unconnected molecules or ions with the total composition C4H11S2 at a distorted geometry, with the ωB97M-V functional and the def2-TZVPD basis.

As for the charge: -1. The spin multiplicity is 1. As for the highest occupied orbital energy: -2.5 eV.

Structure (XYZ):
```
17
C4H11S2, DFT the ωB97M-V functional and the def2-TZVPD basis